Given:
********
Arrangement a

The following is a DFT calculation (ωB97M-V/def2-TZVPD) of a gas-phase ion, C4H7N2 (charge +1).

XYZ file:
```
13
Properties=species:S:1:pos:R:3:lowdin_charge:R:1
C -1.5862 -0.0696 1.4660 0.004
C -0.4787 -0.0640 0.5008 -0.254
C 0.3217 -1.0703 0.0978 -0.004
N 1.1814 -0.6029 -0.8558 0.129
C 0.8932 0.6903 -1.1289 0.000
N -0.0636 1.0174 -0.2505 0.148
H -1.3906 0.5502 2.3452 0.103
H -2.5319 0.2903 1.0645 0.099
H -1.6396 -1.0851 1.8512 0.099
H 0.1228 -2.1268 0.1985 0.153
H 1.8443 -1.1517 -1.3509 0.171
H 1.3162 1.3626 -1.8518 0.162
H -0.7123 1.7756 -0.4237 0.190
```

Output
Frontier orbital gap in eV: 10.78
Net charge: +1
E_LUMO in eV: -3.63
SMILES string: Cc1c[nH]c[nH+]1


Arrangement b

The following is a DFT calculation (ωB97M-V/def2-TZVPD) of 2 unconnected molecules or ions with the total composition C4H7N2.

XYZ file:
```
13
Properties=species:S:1:pos:R:3:lowdin_charge:R:1
C 0.3391 0.0600 -0.1607 0.002
C 0.9325 1.3577 0.1449 -0.050
C 2.2483 1.6757 0.1002 -0.091
C -1.5804 -1.4760 -0.1765 -0.096
N 3.3798 2.0024 0.1590 0.277
N -0.9917 -0.2015 0.0447 -0.037
H 1.1233 -0.5932 -0.5359 0.146
H -0.6604 -2.0325 -0.4174 0.063
H -2.3163 -1.6092 0.6445 0.070
H 4.1716 1.8308 0.8201 0.167
H 0.3058 2.1601 0.5663 0.131
H -2.6998 -2.0989 -1.3822 0.239
H -1.5859 0.6246 0.2621 0.178
```

Output
Frontier orbital gap (spin up / spin down) in eV: 8.10 / 8.10
Net charge: +1
E_LUMO (spin up / spin down) in eV: -5.23 / -5.23


Arrangement c

The following is a DFT calculation (ωB97M-V/def2-TZVPD) of a gas-phase ion, C4H7N2 (charge +1).

XYZ file:
```
13
Properties=species:S:1:pos:R:3:lowdin_charge:R:1
C 1.3666 1.2468 0.2755 0.074
C 1.5664 0.0516 -0.2224 -0.160
C -1.3820 -0.3614 0.1725 -0.001
C -0.4882 -1.2816 0.2195 -0.054
N -2.2009 0.5441 -0.1816 0.191
N 0.8492 -1.1557 -0.0729 0.027
H 0.5387 1.4456 0.7593 0.001
H -0.7721 -2.2675 0.5278 0.156
H -2.4790 1.4046 0.4573 0.212
H -2.6637 0.5808 -1.1606 0.199
H 1.3761 -2.0345 0.1019 0.176
H 1.8646 2.0777 -0.1563 0.079
H 2.4243 -0.2506 -0.7198 0.100
```

Output
Frontier orbital gap in eV: 8.35
Net charge: +1
E_LUMO in eV: -4.83
SMILES string: C=CNC=C=[NH2+]


Arrangement d

The following is a DFT calculation (ωB97M-V/def2-TZVPD) of a gas-phase ion, C4H7N2 (charge +1).

XYZ file:
```
13
Properties=species:S:1:pos:R:3:lowdin_charge:R:1
C -1.6468 -0.0570 0.0109 0.039
C 0.5404 0.0502 -0.6991 -0.065
C -0.3650 0.0629 -1.8539 0.072
C 0.0211 -0.0744 1.7648 -0.015
N -0.4013 -0.0293 0.3983 -0.174
N -1.5742 0.0024 -1.4055 0.133
H 1.2383 -0.7966 -0.7204 0.173
H 1.1639 0.9531 -0.6520 0.173
H -0.0888 0.1122 -2.8948 0.162
H 0.6333 -0.9588 1.9480 0.109
H 0.6067 0.8110 2.0161 0.109
H -0.8623 -0.1130 2.3985 0.106
H -2.4272 -0.0045 -1.9577 0.179
```

Output
Frontier orbital gap in eV: 8.38
Net charge: +1
E_LUMO in eV: -5.77


Unit: kJ/mol. Relative energies: arrangement a 0.0; arrangement b 511.2; arrangement c 365.9; arrangement d 248.9.


Arrangement a

The following is a DFT calculation (ωB97M-V/def2-TZVPD) of a single C5H7P molecule.

XYZ file:
```
13
Properties=species:S:1:pos:R:3:lowdin_charge:R:1
C -1.6197 1.4931 -0.0139 -0.287
C 1.8204 0.5163 0.0349 -0.029
C -0.1177 -1.0180 0.0079 -0.342
C 0.4712 0.3579 0.0220 -0.098
C -1.6005 -1.1587 -0.0014 -0.455
P -2.7068 0.0909 0.0157 0.851
H -1.5841 2.1087 0.8711 -0.001
H 2.2922 1.4827 0.0670 0.035
H 2.4704 -0.3428 -0.0206 0.053
H 0.2567 -1.5606 -0.8714 0.118
H 0.2344 -1.5641 0.8946 0.117
H -1.5204 2.0315 -0.9483 0.004
H -1.9732 -2.1742 0.0028 0.035
```

Output
Frontier orbital gap in eV: 9.01
Net charge: 0
E_LUMO in eV: 0.12


Arrangement b

The following is a DFT calculation (ωB97M-V/def2-TZVPD) of a single C5H7P molecule.

XYZ file:
```
13
Properties=species:S:1:pos:R:3:lowdin_charge:R:1
C -0.0452 -1.0111 0.1899 -0.147
C -0.8854 1.2096 0.1282 -0.356
C 0.2998 0.2769 -0.0267 -0.315
C -1.4877 -1.2535 -0.0016 -0.450
C 1.7265 0.8212 -0.0140 -0.039
P -2.3283 0.3873 -0.0123 0.910
H 0.5855 -1.7779 0.1226 0.064
H -0.6530 2.1988 0.1716 0.005
H -1.6182 -1.4934 -1.0905 0.089
********

Work order:
Duplicate all of the block earlier on with every line break kept.

Reply:
Arrangement a

The following is a DFT calculation (ωB97M-V/def2-TZVPD) of a gas-phase ion, C4H7N2 (charge +1).

XYZ file:
```
13
Properties=species:S:1:pos:R:3:lowdin_charge:R:1
C -1.5862 -0.0696 1.4660 0.004
C -0.4787 -0.0640 0.5008 -0.254
C 0.3217 -1.0703 0.0978 -0.004
N 1.1814 -0.6029 -0.8558 0.129
C 0.8932 0.6903 -1.1289 0.000
N -0.0636 1.0174 -0.2505 0.148
H -1.3906 0.5502 2.3452 0.103
H -2.5319 0.2903 1.0645 0.099
H -1.6396 -1.0851 1.8512 0.099
H 0.1228 -2.1268 0.1985 0.153
H 1.8443 -1.1517 -1.3509 0.171
H 1.3162 1.3626 -1.8518 0.162
H -0.7123 1.7756 -0.4237 0.190
```

Output
Frontier orbital gap in eV: 10.78
Net charge: +1
E_LUMO in eV: -3.63
SMILES string: Cc1c[nH]c[nH+]1


Arrangement b

The following is a DFT calculation (ωB97M-V/def2-TZVPD) of 2 unconnected molecules or ions with the total composition C4H7N2.

XYZ file:
```
13
Properties=species:S:1:pos:R:3:lowdin_charge:R:1
C 0.3391 0.0600 -0.1607 0.002
C 0.9325 1.3577 0.1449 -0.050
C 2.2483 1.6757 0.1002 -0.091
C -1.5804 -1.4760 -0.1765 -0.096
N 3.3798 2.0024 0.1590 0.277
N -0.9917 -0.2015 0.0447 -0.037
H 1.1233 -0.5932 -0.5359 0.146
H -0.6604 -2.0325 -0.4174 0.063
H -2.3163 -1.6092 0.6445 0.070
H 4.1716 1.8308 0.8201 0.167
H 0.3058 2.1601 0.5663 0.131
H -2.6998 -2.0989 -1.3822 0.239
H -1.5859 0.6246 0.2621 0.178
```

Output
Frontier orbital gap (spin up / spin down) in eV: 8.10 / 8.10
Net charge: +1
E_LUMO (spin up / spin down) in eV: -5.23 / -5.23


Arrangement c

The following is a DFT calculation (ωB97M-V/def2-TZVPD) of a gas-phase ion, C4H7N2 (charge +1).

XYZ file:
```
13
Properties=species:S:1:pos:R:3:lowdin_charge:R:1
C 1.3666 1.2468 0.2755 0.074
C 1.5664 0.0516 -0.2224 -0.160
C -1.3820 -0.3614 0.1725 -0.001
C -0.4882 -1.2816 0.2195 -0.054
N -2.2009 0.5441 -0.1816 0.191
N 0.8492 -1.1557 -0.0729 0.027
H 0.5387 1.4456 0.7593 0.001
H -0.7721 -2.2675 0.5278 0.156
H -2.4790 1.4046 0.4573 0.212
H -2.6637 0.5808 -1.1606 0.199
H 1.3761 -2.0345 0.1019 0.176
H 1.8646 2.0777 -0.1563 0.079
H 2.4243 -0.2506 -0.7198 0.100
```

Output
Frontier orbital gap in eV: 8.35
Net charge: +1
E_LUMO in eV: -4.83
SMILES string: C=CNC=C=[NH2+]


Arrangement d

The following is a DFT calculation (ωB97M-V/def2-TZVPD) of a gas-phase ion, C4H7N2 (charge +1).

XYZ file:
```
13
Properties=species:S:1:pos:R:3:lowdin_charge:R:1
C -1.6468 -0.0570 0.0109 0.039
C 0.5404 0.0502 -0.6991 -0.065
C -0.3650 0.0629 -1.8539 0.072
C 0.0211 -0.0744 1.7648 -0.015
N -0.4013 -0.0293 0.3983 -0.174
N -1.5742 0.0024 -1.4055 0.133
H 1.2383 -0.7966 -0.7204 0.173
H 1.1639 0.9531 -0.6520 0.173
H -0.0888 0.1122 -2.8948 0.162
H 0.6333 -0.9588 1.9480 0.109
H 0.6067 0.8110 2.0161 0.109
H -0.8623 -0.1130 2.3985 0.106
H -2.4272 -0.0045 -1.9577 0.179
```

Output
Frontier orbital gap in eV: 8.38
Net charge: +1
E_LUMO in eV: -5.77


Unit: kJ/mol. Relative energies: arrangement a 0.0; arrangement b 511.2; arrangement c 365.9; arrangement d 248.9.


Arrangement a

The following is a DFT calculation (ωB97M-V/def2-TZVPD) of a single C5H7P molecule.

XYZ file:
```
13
Properties=species:S:1:pos:R:3:lowdin_charge:R:1
C -1.6197 1.4931 -0.0139 -0.287
C 1.8204 0.5163 0.0349 -0.029
C -0.1177 -1.0180 0.0079 -0.342
C 0.4712 0.3579 0.0220 -0.098
C -1.6005 -1.1587 -0.0014 -0.455
P -2.7068 0.0909 0.0157 0.851
H -1.5841 2.1087 0.8711 -0.001
H 2.2922 1.4827 0.0670 0.035
H 2.4704 -0.3428 -0.0206 0.053
H 0.2567 -1.5606 -0.8714 0.118
H 0.2344 -1.5641 0.8946 0.117
H -1.5204 2.0315 -0.9483 0.004
H -1.9732 -2.1742 0.0028 0.035
```

Output
Frontier orbital gap in eV: 9.01
Net charge: 0
E_LUMO in eV: 0.12


Arrangement b

The following is a DFT calculation (ωB97M-V/def2-TZVPD) of a single C5H7P molecule.

XYZ file:
```
13
Properties=species:S:1:pos:R:3:lowdin_charge:R:1
C -0.0452 -1.0111 0.1899 -0.147
C -0.8854 1.2096 0.1282 -0.356
C 0.2998 0.2769 -0.0267 -0.315
C -1.4877 -1.2535 -0.0016 -0.450
C 1.7265 0.8212 -0.0140 -0.039
P -2.3283 0.3873 -0.0123 0.910
H 0.5855 -1.7779 0.1226 0.064
H -0.6530 2.1988 0.1716 0.005
H -1.6182 -1.4934 -1.0905 0.089